Monday, June 21, 2010

[Between two parts of the text: calculated crystals]
# Sm2Mn2O5

An optimized crystal structure of Sm2Mn2O5 (GGA+U, the Alexandria database).

Output
**Calculated volume**: 14.28 Å³ per atom
**E_tot**: -7.97 eV/atom
**DOS(E_F)**: 0.74 states/eV/cell
**Total magnetization**: 10.00 μB per formula unit
**Relative energy among the computed polymorphs**: 0 meV/atom

Unit cell a=15.391 b=5.838 c=5.721 alpha=90.00 beta=90.00 gamma=90.00
Space group Ima2 (No. 46)
Inequivalent atoms, fractional coordinates:
Sm (0.115, 0.010, 0.000) x8
Mn (0.000, 0.000, 0.479) x4

Hi. I am an adoptive mom of two girls from China. Just wanted to have a place to note interesting/funny/annoying things about motherhood. I love my kids to pieces and they drive me batty in equal proportion - hence the name of the blog. I'm currently unemployed -for the past 12 months, but who's counting? Oh yeah, the federal government - I'm almost out of unemployment benefits. Come on and pass the extension at least one more time. There's nothing like poverty to make you appreciate bigger government!
But I digress...I have daughter #1, who's almost 10, and was adopted at age 11 mos in 2001. Daughter #2 is 7 1/2 and was adopted at age 13 mos in 2004. They are both from Hunan province and people mistake them for twins all the time, even though they are 6 inches different in height, 10 pounds in weight and look nothing alike.
The second most popular comment I get after "Are they twins?" is "Are they real sisters?" I know people who don't know anything about adoption are not trying to be bone headed, but come on. I usually answer, "Not biologically, no." And most people get the hint and fall all over themselves saying, "Oh, yeah, that's what I meant."
I know its hard not to comment on people's families when you're out and about. I used to wonder how to ask other people where their apparently adopted kids were from without invading privacy/asking a stupid question/offending them. Then I realized, there really is no way of doing that, so I just keep my mouth shut. Why do I have to know? My curiousity does not entitle me to know anything about random strangers.
If there is a connection of some sort - we're on the same softball team, your kids are in my kid's class, etc. Then I will allow a gentle question. Are your kids adopted? is probably the best one. You can't just assume. I know a blonde mom who has three very dark skinned/haired kids. If you saw her alone at after school pickup, you might assume her kids were adopted. But if you look closely, except for the coloring, they look just like her. Her husband is Filipino. You know what they say about why you can't assume. So true.

Let's see, what else. I decided while employment was so iffy, that I would go back to school. I'm working on a masters in counseling psychology. I'm currently not studying for a weekend intensive class I have coming up. The reading seems to be pretty dry considering the subject matter is abnormal psych. Hope the classroom discussions are more lively.

[Data records that have nothing to do with the text]
- - -
# 1
DFT (GGA-PBEsol) results for a relaxed InHgPb2 crystal.

Values from the calculation:
Energy in eV/atom: -2.88
M_tot in μB/f.u.: 0.000

Cell lengths 3.743, 3.743, 7.741 Å; angles 90.00, 90.00, 90.00 degrees
Positions (direct):
In 0.000 0.000 0.000
Hg 0.500 0.500 0.787
Pb 0.000 0.000 0.544
Pb 0.500 0.500 0.259

---

# 2
DFT (GGA-PBEsol) results for a relaxed Sc2AlRh crystal.

Values from the calculation:
Energy in eV/atom: -7.02
M_tot in μB/f.u.: 0.000

Cell lengths 4.548, 4.548, 4.548 Å; angles 60.00, 60.00, 60.00 degrees
Positions (direct):
Sc 0.000 0.000 0.000
Sc 0.250 0.250 0.250
Al 0.500 0.500 0.500
Rh 0.750 0.750 0.750

---

# 3
DFT (GGA-PBEsol) results for a relaxed Ce2NiRu3 crystal.

Values from the calculation:
Energy in eV/atom: -8.59
M_tot in μB/f.u.: 0.001

Cell lengths 5.131, 5.131, 5.131 Å; angles 61.66, 61.66, 61.66 degrees
Positions (direct):
Ce 0.124 0.124 0.124
Ce 0.876 0.876 0.876
Ni 0.500 0.500 0.500
Ru 0.000 0.500 0.500
Ru 0.500 0.000 0.500
Ru 0.500 0.500 0.000

---

# 4
DFT (GGA-PBEsol) results for a relaxed SrH4Cl2O2 crystal.

Values from the calculation:
Energy in eV/atom: -4.84
M_tot in μB/f.u.: 0.000

Cell lengths 6.842, 6.842, 6.530 Å; angles 107.26, 107.26, 55.27 degrees
Positions (direct):
Sr 0.232 0.768 0.750
Sr 0.768 0.232 0.250
H 0.082 0.679 0.109
H 0.134 0.251 0.087
H 0.251 0.134 0.587
H 0.321 0.918 0.391
H 0.679 0.082 0.609
H 0.749 0.866 0.413
H 0.866 0.749 0.913
H 0.918 0.321 0.891
Cl 0.269 0.448 0.324
Cl 0.448 0.269 0.824
Cl 0.552 0.731 0.176
Cl 0.731 0.552 0.676
O 0.027 0.195 0.987
O 0.195 0.027 0.487
O 0.805 0.973 0.513
O 0.973 0.805 0.013

---

# 5
DFT (GGA-PBEsol) results for a relaxed Mg2TlCu crystal.

Values from the calculation:
Energy in eV/atom: -2.64
M_tot in μB/f.u.: 0.000

Cell lengths 3.196, 3.244, 7.398 Å; angles 90.00, 90.00, 90.00 degrees
Positions (direct):
Mg 0.000 0.000 0.203
Mg 0.000 0.000 0.797
Tl 0.500 0.500 0.500
Cu 0.500 0.500 0.000

---

# 6
DFT (GGA-PBEsol) results for a relaxed La2ZrCo crystal.

Values from the calculation:
Energy in eV/atom: -6.56
M_tot in μB/f.u.: 0.462

Cell lengths 5.210, 5.210, 3.432 Å; angles 90.00, 90.00, 90.00 degrees
Positions (direct):
La 0.000 0.500 0.000
La 0.500 0.000 0.000
Zr 0.000 0.000 0.500
Co 0.500 0.500 0.500

---

# 7
DFT (GGA-PBEsol) results for a relaxed In2SbTe crystal.

Values from the calculation:
Formation energy from raw total energies in meV/atom: 81.2
M_tot in μB/f.u.: 0.000

Cell lengths 3.300, 3.300, 9.931 Å; angles 90.00, 90.00, 90.00 degrees
Positions (direct):
In 0.000 0.000 0.000
In 0.500 0.500 0.238
Sb 0.000 0.000 0.463
Te 0.500 0.500 0.766

---

# 8
DFT (GGA-PBEsol) results for a relaxed CdHg crystal.

Values from the calculation:
Energy in eV/atom: -0.86
M_tot in μB/f.u.: 0.000

Cell lengths 3.136, 3.136, 5.076 Å; angles 90.00, 90.00, 120.00 degrees
Positions (direct):
Cd 0.000 0.000 0.000
Hg 0.667 0.333 0.500

---

M_tot of number 2 (Sc2AlRh)? 0.000 μB/f.u.

---

What is the formula in the seventh record? In2SbTe

---
- - -
Right now I smell burning food, so I must go investigate before my house burns down. I love summer break...